Starting With Contract Pets

Chapter 344: Enter Kunlun Ruins


[Name|Race]: Xinghai Extremely Devouring Kun-Destruction|Monster

[Gender]: Male

[Level]: Dominant level high position

[Attributes]: Water, darkness, space, swallowing, destruction and doomsday camp

[Characteristics | Passive]: Devour,

Xinghai Curtain,


The body of the water god,

Sea of Destruction (active characteristic, launching the skill Water Splash Leap can summon the endless sea of destruction to come, and has all the abilities of the sea of destruction.

The Sea of Destruction has an attribute: the Law of Fear Causality. If you have fear in your heart, you will be destroyed.

Destruction: Everything in the world that is not chaotic and has negative entropy will be destroyed by the sea of destruction. )

[Skills]: Water splash jump (super enhanced version), water wave, dark wave, extreme bite, water cage, sea of destruction


[Weakness]: There is no obvious weakness in attributes, and the current attributes are slightly weak.

[Evolutionary direction]: There is no fixed evolutionary direction for kelpies, and the current evolutionary direction is unknown.

[Introduction]: The Xinghai Extremely Devouring Kun swallowed up the Sea of Destruction and turned it into a part of itself, which made it fall into the camp of doomsday destruction and possess the real power of doomsday destruction.

Crystal structures that have nothing to do with the entry:
Theoretical XRD peak list of Sr2TlWO6 for Cu Kα X-rays, from a crystal structure in Alexandria, relaxed with GGA+U.

Main lines, in order of rising 2θ (2θ = 10–80°):
| two_theta | d [Å] | I (rel.) | h k l |
| --- | --- | --- | --- |
| 20.83 | 4.265 | 44 | 0 1 2 |
| 29.12 | 3.067 | 100 | 1 1 0 |
| 30.11 | 2.968 | 94 | 1 0 4 |
| 42.38 | 2.133 | 47 | 0 2 4 |
| 48.34 | 1.883 | 13 | 2 -1 6 |
| 51.62 | 1.771 | 26 | 3 0 0 |
| 52.25 | 1.751 | 44 | 3 -1 4 |
| 54.09 | 1.695 | 17 | 0 1 8 |
| 60.36 | 1.533 | 14 | 2 2 0 |
| 62.61 | 1.484 | 13 | 2 0 8 |
| 68.93 | 1.362 | 18 | 4 -3 4 |
| 70.50 | 1.336 | 17 | 1 2 8 |

Atomic structure:
```
data_Sr2TlWO6
_symmetry_space_group_name_H-M 'R -3'
_symmetry_Int_Tables_number 148
_symmetry_space_group_name_Hall '-R 3'
_cell_length_a 6.1336
_cell_length_b 6.1336
_cell_length_c 14.3122
_cell_angle_alpha 90.00
_cell_angle_beta 90.00
_cell_angle_gamma 120.00
loop_
_atom_site_label
_atom_site_type_symbol
_atom_site_fract_x
_atom_site_fract_y
_atom_site_fract_z
_atom_site_occupancy
Sr1 Sr 0.0000 0.0000 0.2367 1
Tl1 Tl 0.0000 0.0000 0.5000 1
W1 W 0.0000 0.0000 0.0000 1
O1 O 0.0387 0.2770 0.0796 1
```

The doomsday destruction camp is a special monster bred by the most powerful will of chaos in the endless void. It is specially designed to destroy all life and the world and return everything to chaos.

Great Chaos has no consciousness, but has infinite will. It represents the collection of all disordered positive entropic chaos.


"As expected."

Su Bai looked at Xinghai Jishi Kun's data and nodded gently.

He didn't expect that after swallowing the Sea of Destruction, he would actually be transformed into the Doomsday Destroyer camp.

This cannot be said to be a bad thing, after all, Chaos can be said to be the most powerful force in the endless void.

The disorder and chaos it represents is the eternity of the world.

Because everything in order in the world will eventually transform into disorder, whether it is life or the world, the sun will go out, the stars will decompose, and even black holes will evaporate, but chaos, disorder and positive entropy will exist forever.

Life is just a small second in billions of years of chaos and disorder, and is insignificant compared to chaos and disorder.

But it cannot be said that it is because the will of great chaos has no wisdom. Its existence only transforms all orderly and negative entropic existences in the world into chaos, so the monsters in the doomsday camp it creates are also without wisdom.

Just like the sea of destruction, they will only destroy all negative entropic orderly existence according to specific laws.

"Abai, is Xinghai okay?"

Ziyu flew to Su Bai and asked.

"It may not be possible to release it for the time being. It may not be released until it has completely digested this harvest."

Su Bai spread his hands and said.

In fact, he was helpless. He originally thought that this adventure would improve Pipikun's strength so that he could use it when he entered Kunlun Ruins.

Now it seems that there is a high probability that it will not be able to come out in a short time.

Fortunately, he has the water card skill, and he can use Pipikun's skill through the Book of Contract. At the critical moment, he may be able to summon the Sea of Destruction with a splash of water.

"Hoho, what a pity, that guy from Xinghai has already reached the Dominator level, right?"

The little tyrant raised his head enviously.

"Yes, I have reached the master level."

Su Bai glanced at the little tyrant. This guy hadn't even broken through to the Dominator level, and was still stuck in the middle of the Emperor level.

This guy worked hard as a child, but became lazy when he grew up.

"Roar! It's so amazing. Ah Bai can give me some of that special power."

The little tyrant hugged Su Bai's thigh with envy.

"Let's wait until you reach the master level, otherwise it's impossible."

Su Bai glanced at it and pulled his leg away ruthlessly.

After pulling away his leg, Su Bai walked into the room and looked at Chen Ruoxue. She was not awake yet.

"Shi Gui, is she okay? Could it be that her body cannot withstand the baptism of the power of time?"

Su Bai looked at Shi Gui next to him!

"Has Haas!!"

Shi Gui circled around Chen Ruoxue's body, shook her head, and said there was no big problem. The power of time in her body had begun to fade, and she would wake up in less than a day.

"Oh well."

Su Bai nodded and asked the Eye of the Planet to initiate teleportation and head towards Kunlun Ruins.

It's time to go to Kunlun Ruins. If he doesn't go, if the legendary pet is taken away, he will regret it to death.

[1]
The following is a simulated powder XRD pattern of NaMnPCO7. It was derived from a structure optimized by DFT (PBE+U), using Cu Kα X-rays.
Intensities are scaled so that the largest is 100.

Principal peaks in the range 2θ = 5–70°, by intensity:
2θ/deg, Rel. int., index
9.66, 100, 0 0 1
28.58, 34, 2 -2 0
25.28, 27, 1 1 1
19.92, 23, 1 1 -2
16.98, 20, 1 -1 1
19.17, 20, 1 1 0
34.31, 19, 2 2 -2
17.39, 19, -1 1 1
22.17, 19, 0 2 -1
24.71, 13, 2 0 -2

Structure:
```
44
Lattice="8.142 0.000 0.000 -1.429 8.032 0.000 -2.918 -3.854 9.158" Properties=species:S:1:pos:R:3 pbc="T T T"
Na 0.000 0.000 0.000
Na -2.503 5.869 4.770
Na 3.336 4.030 0.008
Na 4.241 0.210 4.766
Mn -0.925 0.900 3.841
Mn 3.258 1.026 0.975
Mn 2.362 4.832 3.873
Mn 6.619 5.036 0.977
P 0.676 2.838 1.802
P 1.614 -0.933 3.012
P 4.016 6.832 1.828
P 4.947 3.100 3.014
C -0.692 1.161 6.232
C 0.019 -3.086 7.748
C 2.668 5.174 6.258
C 3.312 0.978 7.756
O -1.477 0.252 5.651
O -0.245 1.645 2.200
O -0.082 3.815 0.875
O -0.394 6.464 1.739
O -1.622 4.828 6.543
O 0.478 -0.420 3.947
O -1.980 4.198 8.689
O -0.109 1.900 5.309
O 1.779 2.292 0.845
O -0.529 1.280 7.444
O 1.242 3.494 3.059
O 0.944 6.128 3.942
O 2.567 0.232 2.617
O 0.819 -2.198 8.308
O 1.885 4.279 5.710
O 3.097 5.641 2.211
O 4.727 -0.175 0.926
O 4.330 2.497 1.744
O 3.080 0.875 6.552
O 3.894 3.670 4.000
O 2.754 0.222 8.695
O 4.683 -2.118 5.298
O 5.156 6.333 0.895
O 4.298 -2.703 7.458
O 5.996 -0.567 3.128
O 5.662 2.037 3.889
O 5.914 4.255 2.619
O 4.138 1.845 8.309
```

---

[2]
The following is a simulated powder XRD pattern of Na5Mn2P2C2O14. It was derived from a structure optimized by DFT (PBE+U), using Cu Kα X-rays.
Intensities are scaled so that the largest is 100.

Principal peaks in the range 2θ = 5–70°, by intensity:
2θ/deg, Rel. int., index
9.79, 100, 1 0 0
33.97, 72, 0 0 4
33.63, 62, 2 2 0
27.00, 53, 0 2 0
48.87, 35, 4 2 0
25.70, 34, 2 0 -2
33.41, 32, 1 2 -2
16.63, 32, 1 1 0
55.68, 28, 0 4 0
29.61, 18, 2 1 2

Structure:
```
50
Lattice="9.033 0.000 0.000 0.000 6.604 0.000 -0.221 0.000 10.555" Properties=species:S:1:pos:R:3 pbc="T T T"
Na 0.619 1.651 3.848
Na 2.164 6.602 1.242
Na 2.164 3.304 1.242
Na 2.154 0.048 6.702
Na 2.154 3.254 6.702
Na 6.659 3.349 3.853
Na 6.659 6.556 3.853
Na 6.648 0.002 9.313
Na 6.648 3.300 9.313
Na 8.194 4.953 6.707
Mn 3.117 4.953 3.798
Mn 3.038 4.953 9.101
Mn 5.774 1.651 1.454
Mn 5.695 1.651 6.757
P 3.700 1.651 4.220
P 3.631 1.651 9.484
P 5.181 4.953 1.071
P 5.112 4.953 6.335
C 0.511 4.953 4.118
C 0.435 4.953 9.296
C 8.377 1.651 1.258
C 8.301 1.651 6.437
O 0.617 1.651 1.333
O 0.549 1.651 6.357
O 1.149 4.953 2.980
O 1.139 4.953 8.168
O 1.121 4.953 10.385
O 1.241 4.953 5.207
O 2.835 0.415 3.825
O 2.835 2.887 3.825
O 2.819 0.391 9.082
O 2.819 2.911 9.082
O 3.782 4.953 1.735
O 3.740 4.953 7.024
O 3.898 1.651 5.781
O 4.014 1.651 0.497
O 4.798 4.953 10.058
O 4.914 4.953 4.774
O 5.073 1.651 3.530
O 5.030 1.651 8.820
O 5.994 3.693 1.473
O 5.994 6.212 1.473
O 5.977 3.716 6.730
O 5.977 6.189 6.730
O 7.571 1.651 5.348
### So much for the records of crystals

When they arrived at the outskirts of Kunlun Ruins, Chen Ruoxue had already woken up.

"Is this here? Aren't we already dead?"

When Chen Ruoxue woke up, she was half confused and half confused, looking at the familiar people and things in front of her in a daze.

"Don't worry, we are not dead. I used the old crystal to reverse time and we were not wiped out by the sea of destruction."

Su Bai explained.

"Old Crystal?"

"yes… "

Su Bai explained the matter to her roughly.

"Are you sure we're not dreaming?"

After listening to Su Bai's words, Chen Ruoxue suddenly felt even more confused. Not only did Su Bai use the treasure to reverse time, but he also let the Xinghai Extreme Devourer Kun swallow up the extremely terrifying sea of destruction

This was a bit beyond her imagination.

It took several hours for Chen Ruoxue to recover from this state.

Only then was it confirmed that they were really alive.

“It’s really nice to be alive.”

Chen Ruoxue suddenly hugged Su Bai.

When you die and come back to life, even a hug is a luxury.

Then the two of them did some unspeakable things.

Chen Ruoxue, who has the ability to change a lot, can transform into various forms. After this resurrection, Su Bai finally unlocked a new character.

"Kunlun Ruins has arrived."

Chen Ruoxue looked at the Kunlun Ruins in front of her.

"Then let's go directly."

Su Bai nodded.

The Eye of the Planet floated forward, approaching Kunlun Ruins. Because the barrier of Kunlun Ruins became weaker, there were more monsters trying to get in, and it became more dangerous.

But for pet masters like Su Bai, it's not that difficult.

After some effort, they arrived in front of the barrier, where there were more space cracks nearby.

"It is said that we can enter using the Book of Contract. Let me try."

Su Bai tried it, and found that he easily entered the barrier.

"As expected."

Chen Ruoxue also came in without any hindrance.

"It seems this place really has some connection with Blue Star."

Su Bai looked at the mountains and rivers below with a hint of understanding.

"The environment here is very similar to that of Blue Star, but the plants are a bit weird. I just don't know how dangerous it is."

Chen Ruoxue also commented that although the Kunlun Ruins looks like a decision-making mountain range, its size is no smaller than a planet, and overall it is still very vast.

"Let's go, let's go inside first and see what's going on."

Su Bai nodded.

The Eye of the Planet flew deeper, and when their figures disappeared, a strange mist quietly appeared at the place where they came in, and then turned into wisps of breath and disappeared.

(End of chapter)